
The party Night

Alazne felt dizzy. Her vision blurred with the amount of heat upsurging in her body. She wanted to cool it off in a cold bath if it weren't for the party she was caught in. She couldn't refuse when her highschool classmates called her to the get together party. She indeed had a good highschooling with the people there so she agreed nonchalantly.

### Calculated molecules that have nothing to do with the text
No. 1
Formula: C2H4N2O
Source: the Open Molecules 2025 dataset
Level of theory: the ωB97M-V functional and the def2-TZVPD basis

Calculated values
Maximum force: 0.16451 hartree/bohr
Multiplicity: 1
HOMO-LUMO gap: 9.6 eV
Total charge: 0
Energy relative to the best compared isomer or geometry (same formula, charge and spin): 4.481 eV
Electronic energy: -263.198583 Ha

```
9
Properties=species:S:1:pos:R:3:mulliken_charge:R:1
C -1.322 -0.836 0.222 -0.242
C 1.295 0.242 0.103 0.174
H -2.431 -1.248 -0.317 0.231
H -0.591 -1.638 0.471 0.300
H 0.240 2.002 -0.137 0.301
H 2.106 1.127 0.376 0.220
N -1.235 0.377 -0.428 -0.312
N 0.148 0.904 0.022 -0.107
O 1.790 -0.930 -0.312 -0.564
```


No. 2
Formula: C30H40F27N7O18S6
Source: the Open Molecules 2025 dataset
Level of theory: the ωB97M-V functional and the def2-TZVPD basis

Calculated values
Maximum force: 0.12449 hartree/bohr
Multiplicity: 1
HOMO-LUMO gap: 4.8 eV
Total charge: -4
Electronic energy: -7989.894034 Ha

```
128
Properties=species:S:1:pos:R:3:mulliken_charge:R:1
C -0.268 0.983 0.572 -0.096
C -0.665 0.607 -0.799 -0.770
N -0.123 -0.727 -1.086 1.693
C -0.342 -1.908 -0.387 -0.968
C 0.281 -2.981 -0.974 -0.254
N 0.914 -2.452 -2.131 0.731
C 0.685 -1.093 -2.156 -1.223
C 1.646 -3.186 -3.121 -0.536
H -0.792 1.916 0.776 0.552
H 0.808 1.155 0.602 -0.423
H -0.592 0.209 1.267 -0.066
H -0.303 1.367 -1.492 0.370
H -1.754 0.624 -0.856 -0.056
H -1.034 -1.978 0.440 0.540
H 0.339 -4.033 -0.738 0.276
H 0.871 -0.434 -2.991 0.526
H 1.659 -4.211 -2.751 0.222
H 2.705 -2.943 -3.037 0.093
H 1.161 -3.169 -4.097 0.247
C 4.373 5.680 2.122 -1.118
C 5.145 4.600 1.314 -0.600
N 4.682 3.298 1.781 0.359
C 5.179 2.601 2.876 -0.845
C 4.617 1.320 2.923 -0.343
N 3.754 1.284 1.834 0.874
C 3.811 2.446 1.109 -0.539
C 2.998 0.079 1.446 -0.764
H 4.804 6.661 1.925 0.428
H 4.500 5.566 3.198 0.307
H 3.314 5.813 1.899 0.313
H 6.174 4.561 1.672 0.341
H 4.980 4.718 0.243 0.340
H 5.894 3.174 3.448 0.432
H 4.628 0.406 3.498 0.584
H 3.318 2.593 0.160 0.584
H 3.635 -0.798 1.328 0.405
H 2.696 0.164 0.402 0.028
H 2.106 -0.125 2.038 0.018
C -2.070 -1.305 3.775 0.690
F -1.154 -1.762 2.939 -0.194
F -1.739 -1.765 4.968 -0.202
F -2.071 -0.004 3.737 -0.209
S -3.887 -1.878 3.209 0.834
O -3.899 -1.596 1.785 -0.490
O -3.847 -3.327 3.447 -0.581
N -4.837 -0.857 4.235 -0.468
S -5.278 -1.788 5.390 1.077
O -6.395 -2.647 5.030 -0.677
O -4.181 -2.457 6.065 -0.598
C -5.983 -0.572 6.605 0.573
F -7.108 -0.016 6.124 -0.234
F -6.262 -1.215 7.743 -0.232
F -5.085 0.372 6.891 -0.216
C -2.382 -5.199 -0.063 0.477
F -2.123 -4.271 0.872 -0.073
F -3.752 -5.382 -0.001 -0.213
F -2.035 -4.780 -1.323 -0.148
S -1.406 -6.849 0.415 1.090
O -1.803 -7.142 1.796 -0.693
O -1.697 -7.913 -0.543 -0.602
N 0.296 -6.268 0.507 -0.393
S 0.988 -7.350 -0.315 0.987
O 0.906 -8.680 0.257 -0.638
O 0.826 -7.227 -1.784 -0.684
C 2.837 -6.868 -0.110 0.516
F 3.207 -7.211 1.081 -0.217
F 3.628 -7.499 -0.977 -0.238
F 2.996 -5.466 -0.336 -0.188
C -1.039 0.315 -6.272 0.620
F -1.739 1.409 -6.558 -0.239

When Alazne looked at the venue in the group chat she couldn't believe her eyes. It was the most popular hotel in the city how can normal university students with petty allowances got a spot was something that she didn't feel right. So by asking it up straight, Nina her highschool bestfriend answered that it was Hart who arranged the party. Alazne thought "well if it is Hart then it's no wonder". Hart was that one rich kid in school who always bought new things to showoff, adding he was one good looking hunk many girls admired him. But something about him always ticked off Alazne so she tried not to engage with him in the highschool. She wanted to drop when she know it was Hart who arranged the party. But her UNI roommates had their weekends planned, if she stayed back she would be alone. So she decided to come.

Alazne put on her white dress that she bought recently. A knee length wavy bottom and frill top that clung to her body at the right places to add a little exotic look. Alazne never wanted to people look at her like that . If it weren't for her best enemies attending the party too. Her rivals Jo and Karin who always teased her,called her names throughout the childhood. So she wanted to show off for today that's the reason she choose that dress.

Her initial plan is to board a cab but Nina who was suppoused to pass by the way said she would pick her up. Alazne who got down saw a old breeza car waiting at her dorm. Nina who came out of the car came giggling and running to Alazne hugged her. The long old friends felt happy meeting each other. Nina said "wow Alazne you look great now,that's a real glow up". Alazne chuckled "well talk about yourself you've gotten pretty too". They got into the car driving to the party talking about their lives in Universities. They remembered the good old days when they thought of getting into the same university but results came out unexpected so the long bonded friends had to break off. Now they've reunited Alazne thought it wasn't a bad idea to attend the party.

As Alazne wished that was a quite blow for the others who thought of her as a pushover. All they knew Alazne was that nerdy girl with large spectacles but now the Alazne they saw was blinding. She was the star of the night. During party Alazne noticed the change in her friends behaviour. some guys who didn't even knew she existed came upto her bootlicking. Alazne felt disgusted no one cared about her when she looked normal but now that she's all dressed up everyone swooned around her. As much as she wanted to escape the party seemed never ending.

After some partying they got to drinks round. Alazne was alight drinker so she tired to avoid that part of the party but Hart was persistent. Now Alazne didn't hate him for nothing. She stated that she couldn't drink much so they ordered a different drink her. Everything was fine until then the waiter who bought the drinks looked strict to his work and the people were friendly but once she took a few gulps Alazne knew that something was definitely messed up in the drink. She looked at everyone around her but none felt suspicious. She got up to talk with Nina to get her out of this party but she couldn't find Nina anywhere. "where's Nina she asked the person beside her now that her vision blurred she couldn't say the name of the person" "Jo just took her out to talk about something" replied the person. Alazne couldn't take it anymore her heat waves surged within her body. She decided to get out for a cab, but before she did she heard someone speaking "oh Alazne aren't you feeling well….you kinda look out of it" someother exclaimed "yes, you're sweating" "do you need help ?" "someone help her" and then she felt rough grip around her shoulders "yes, I'll take her outta here" although the voices from earlier are unfamiliar she could recognise the last one it was Hart for sure. There's no way Hart's going to get her out safe. he was the most dangerous of all that she wanted to escape from that party. She thought growing up all these years must've fed some sense into his brain. But soon Alazne realized she was wrong Hart never changed from the way his hands groped her in the places an old classmate wouldn't do. Now it was clear that the one messed up with drink was Hart and Jo. She cursed "what did I do wrong to you ?? why are yo doing this to me??" Hart spoke " don't you speak ! didn't you dress up all like this to seduce me?" as weak Alazne's nerves went she still managed to punch that guy who's trying to drag her into the room. She kicked him in the manhood with all the strength's that left and ran away leaving the guy middle in the corridor moaning in pain.